Rabbits are social creatures. They always require company that another rabbit can only give. However, there are some factors to consider before selecting a second rabbit. So, how to choose a second rabbit? How to introduce and take care of your second rabbit? Let’s find out all your answers in this article.
You should select a pair of rabbits according to size, fur type, breed, and age. Other factors to consider while choosing a second rabbit are health, personality, and gender. However, before their introduction, the rabbits should be neutered and have no underlying health problems.
This article will discuss things to consider while choosing a second pet rabbit. How to introduce the rabbits together? What are the other factors that need to take care of? So, let’s find it out.
Choosing my second rabbit
Rabbits are very active and joyful creatures. They love to eat, jump or hop all around their rabbit-proof area. However, rabbits can sometimes become lonely or depressed if they don’t get their desired love or companionship.
It can be challenging for some owners to spend their whole time and attention on a rabbit. Even if you try to spend 3 to 4 hours with your single rabbit, this means they are gone for 20 hours or more; they would need more than that.
In that case, you must introduce another or second rabbit in your house so your current rabbit can meet its pair to prevent stress, depression, or loneliness and minimize troublemaking behavior and boredom.
The second rabbit can fulfill the space that your current rabbit requires in its life. In addition, pairing rabbits can make them happier, stressless, and more active.
After deciding to bring another rabbit into your house, it is essential to consider things while selecting a second rabbit.
You can choose a rabbit from humane societies like neighbors or relatives or adopt from rescue organizations or pet shops.
Visiting the rescue organization or any pet shop in the morning or evening would be best because rabbits are most active then. So it would be easy for you to identify a healthy and active rabbit.
It is essential to determine the rabbit’s size, age, color, fur type, or breed. Also, health, personality, and diet are other factors you must consider while selecting a rabbit.
Things to consider while selecting a rabbit
Rabbits prefer to live in groups because they are social animals. If you are not giving much time to your rabbit, you must adopt a second rabbit because single rabbits can become depressed or lonely if they don’t find companionship.
After deciding to adopt a second rabbit, there are certain things that you need to consider while selecting a second rabbit:
Ensure that the rabbit is healthy and has a neat and clean environment. Health is essential in selecting a rabbit, especially if you already have a rabbit at home. You may want to avoid bringing a sick rabbit, which can also spread illness or infection to your current rabbit.
It can be pretty challenging to sense whether a rabbit is healthy, but you can ensure that it appears healthy. You can naturally look out for the signs of illness. So, while selecting, ensure that the rabbit has no bald patches on its body, running eyes, nose, or dirty bottom.
Also, if you are adopting a rabbit from a pet shop or rescue organization, ensure that the rabbit is active and its cage is clean. Ask to see if the rabbit’s teeth are evenly trimmed.
If one tooth is longer than the other, then there is the possibility that the rabbit is having eating problems because of obsess, molars, or inflammation.
Most rescue organizations wouldn’t give you the rabbit without health checkups. However, if you adopt a rabbit from neighbors or other unknown people, you must ensure these things.
Every rabbit has a different personality. But you may want a rabbit that fits in your group. The best way to select a suitable personality in rescue organizations or pet shops is to look for a rabbit in the group. You can quickly identify the shy, dominant, or tame rabbit in the rabbits’ group.
However, there is no assurance that the rabbits will get along. They will fight for dominance or may live happily together, depending on their temperaments.
The personality of a rabbit matters a lot. Adopting a rabbit with the same energy level as your current rabbit can be the best pairing. You can adopt a calm and confident rabbit if your rabbit is shy. The new rabbit may encourage your rabbit to come out of its shell.
Fur type breed
The fur of a rabbit should be shiny, healthy, and soft textured. If you are choosing a second rabbit, you must also ensure the fur type breed of the rabbit.
Every breed of rabbit has a different personality. For example, some rabbit breeds don’t want to be handled, while others don’t want to come near humans.
Because of that, it is essential to know which breed of rabbit will be friendly with your current rabbit and you.
Many domestic breeds of rabbits can be chosen as second rabbits depending on their care requirements and temperaments. Either adopt the same breed rabbit or go for other affectionate rabbit breeds, such as Rex, Jersey Wooly, Mini Lop, Polish, Himalayan, or Harlequin; all types of rabbits can understand and communicate with each other.
Also, choosing or selecting a second rabbit depends on the climate, environment, and maintenance of a specific rabbit breed.
Therefore, ensure to take care of a specific breed according to its nature and conditions and fulfill its requirements.
The other factor to consider while choosing a second rabbit is the size of the rabbit.
They could be a good pair if you pair a tiny Netherland Dwarf with the flemish giant rabbit. However, due to the vast size of a rabbit, there is the possibility of injuries too.
A rabbit’s diet also plays an essential part in selecting the rabbit. So, while choosing a second rabbit, you must ask about its diet and what it has been fed and handled so that it would be easy for you to meet all its requirements.
A proper diet emphasizes the healthy life span of a rabbit. If the rabbit is not eating well or has a loss of appetite can be the cause of illness, and they may appear low, less active, or dull.
While selecting, ensure that the rabbit is well-groomed. A rabbit’s fur is to be shiny or silky, have no bald patches or wounds, and its teeth and nails should be perfectly trimmed.
The fur of a rabbit should not be matted or wet, especially around its tail or chin. Otherwise, it could be a sign of health issues. You must also ensure that the rabbit has no crusty skin around its nose or ears and no discharge coming from its eyes or nose.
Therefore, it is essential that the rabbit lives in a clean cage or environment and eats and drinks healthily.
You may want your rabbits to have companionship and live happily, but gender plays an essential role in choosing a second rabbit because every gender has its personality or temperament.
Also, it would be best if you introduced the rabbits slowly. It may take some time, but it can make the pairing successful.
Also, read: Are Rabbits Aggressive?
Male and female:
It would be the best pairing if you had both male (buck) and female (doe) rabbits. A female rabbit may rarely show its terrorism in front of a male rabbit. But, it is essential to spay or neuter the rabbits before introducing them.
Male and male:
Two male rabbits can live with each other; however, it may not be a successful pairing because both may show their dominance which causes terrorism. However, if you want to adopt another male rabbit, you must neuter both. Neutering a rabbit makes them calm and prevents fights.
Female and female:
It could not be a good choice if you are adopted another female rabbit. Two female rabbits can be territorial against each other, which may cause fights and serious injuries. However, if you want a successful pairing, you must adopt another rabbit from the same litter as your current rabbit came from and spay both to avoid fights.
Age difference
It would be an excellent pair if both the rabbits were adults and of similar age, because they would have similar energy levels and personalities.
However, if you have a 3 to 4 months old small rabbit at home, you must choose a second rabbit of the same age. Ensure to neuter or spay them after. Male rabbits can be neutered after 10-12 weeks, whereas female rabbits can be spayed once they reach 4 to 6 months.
'''
No. 1
# Rb2DyAgI6
Computed XRD peak list, Cu Kα. Input: a cell relaxed with GGA-PBE.
Lines closer than 0.1° are merged.

Main lines, by intensity (2θ from 10° to 80°):
(hkl)  2theta  I/Imax
2 2 -2  29.57  100
0 0 4  30.56  68
1 1 -1  14.66  65
3 1 -5  37.07  56
1 3 -5  45.32  44
1 0 2  25.17  43
1 3 -1  32.66  42
0 2 2  25.51  42
2 1 -3  24.75  36
2 2 2  42.99  32

Atomic structure:
```
data_Rb2DyAgI6
_symmetry_space_group_name_H-M 'P 1 21/c 1'
_symmetry_Int_Tables_number 14
_cell_length_a 8.3937
_cell_length_b 8.7026
_cell_length_c 14.3936
_cell_angle_alpha 90.00
_cell_angle_beta 125.60
_cell_angle_gamma 90.00
loop_
_symmetry_equiv_pos_as_xyz
'x,y,z'
'-x,-y,-z'
'-x,y+1/2,-z+1/2'
'x,-y+1/2,z+1/2'
loop_
_atom_site_label
_atom_site_type_symbol
_atom_site_fract_x
_atom_site_fract_y
_atom_site_fract_z
_atom_site_occupancy
Rb1 Rb 0.2289 0.0726 0.2508 1
Dy1 Dy 0.0000 0.0000 0.5000 1
Ag1 Ag 0.5000 0.0000 0.0000 1
I1 I 0.1550 0.2091 0.9598 1
I2 I 0.2507 0.6976 0.9573 1
I3 I 0.3379 0.0106 0.7534 1
```

=====

No. 2
# DyEr5Ir6
Computed XRD peak list, Cu Kα. Input: a cell relaxed with GGA-PBE.
Lines closer than 0.1° are merged.

Main lines, by intensity (2θ from 10° to 80°):
(hkl)  2theta  I/Imax
1 3 2  37.02  100
2 0 0  38.33  46
3 3 2  68.45  34
2 0 4  65.85  19
2 6 0  55.32  16
2 6 4  78.84  11
0 0 4  51.35  10
1 3 0  26.84  1

Atomic structure:
```
data_DyEr5Ir6
_symmetry_space_group_name_H-M 'C m m m'
_symmetry_Int_Tables_number 65
_symmetry_space_group_name_Hall '-C 2 2'
_cell_length_a 4.6938
_cell_length_b 14.1007
_cell_length_c 7.1176
_cell_angle_alpha 90.00
_cell_angle_beta 90.00
_cell_angle_gamma 90.00
loop_
_atom_site_label
_atom_site_type_symbol
_atom_site_fract_x
_atom_site_fract_y
_atom_site_fract_z
_atom_site_occupancy
Dy1 Dy 0.0000 0.0000 0.0000 1
Er1 Er 0.0000 0.0000 0.5000 1
Er2 Er 0.0000 0.3331 0.0000 1
Er3 Er 0.0000 0.3333 0.5000 1
Ir1 Ir 0.0000 0.1671 0.2508 1
Ir2 Ir 0.0000 0.5000 0.2516 1
```

=====

Question: Which formula does entry 1 have?
Answer: Rb2DyAgI6
'''
Things to take care of after choosing a second rabbit
After choosing a second rabbit, taking care of some things required for your rabbit’s healthy life span is essential.
Spayed or neutered
The first thing that you need to do after choosing your second rabbit is to spay or neuter the rabbit. It is essential to neuter the rabbit whether you are pairing male-female, female-female, or male-male. This can prevent terrorism and dominance, which makes it a successful pairing. Ensure to spay both rabbits before the introduction.
Also read: Should I Neuter Or Spay My Rabbit?
A new rabbit can become stressed after entering a new home environment. And because of stressful conditions, a rabbit may not eat or drink properly, which may cause health issues. Therefore it is essential to provide a safe environment and spend some time with the new rabbit so that they become familiar.
-- Unrelated to this article: records of crystals --
Theoretical powder XRD pattern of CaCd8Au4 for copper Kα, from a crystal structure in Alexandria, relaxed with GGA-PBE.
Intensities are scaled so that the largest is 100.

Structure:
Unit cell a=9.962 b=9.962 c=5.661 alpha=90.00 beta=90.00 gamma=90.00
Space group I4/mmm (No. 139)
One atom of each set of equivalent atoms:
Ca  0.000  0.000  0.000 x2
Cd  0.000  0.213  0.500 x8
Cd  0.000  0.348  0.000 x8
Au  0.250  0.250  0.250 x8

Main lines, sorted by position (15 to 90 degrees two-theta):
2θ 17.81, I 72
2θ 36.06, I 64
2θ 36.18, I 47
2θ 36.51, I 81
2θ 40.50, I 69
2θ 40.60, I 25
2θ 40.90, I 100
2θ 65.14, I 30

Theoretical powder XRD pattern of Ba2Cu5P4 for copper Kα, from a crystal structure in Alexandria, relaxed with GGA-PBE.
Intensities are scaled so that the largest is 100.

Structure:
Unit cell a=5.725 b=11.444 c=12.699 alpha=90.00 beta=90.00 gamma=90.00
Space group Fmmm (No. 69)
One atom of each set of equivalent atoms:
Ba  0.000  0.000  0.148 x8
Cu  0.000  0.000  0.500 x4
Cu  0.250  0.250  0.000 x8
Cu  0.250  0.250  0.250 x8
P  0.000  0.155  0.374 x16

Main lines, sorted by position (15 to 90 degrees two-theta):
2θ 27.34, I 84
2θ 28.99, I 31
2θ 31.26, I 64
2θ 32.25, I 58
2θ 35.05, I 100
2θ 35.34, I 99
2θ 42.53, I 62
2θ 58.12, I 47

Theoretical powder XRD pattern of Ag2BPd6 for copper Kα, from a crystal structure in Alexandria, relaxed with GGA-PBE.
Intensities are scaled so that the largest is 100.

Structure:
Unit cell a=5.800 b=5.800 c=8.116 alpha=90.00 beta=90.00 gamma=90.00
Space group I4/mmm (No. 139)
One atom of each set of equivalent atoms:
Ag  0.000  0.500  0.250 x4
B  0.000  0.000  0.000 x2
Pd  0.000  0.000  0.256 x4
Pd  0.246  0.246  0.500 x8

Main lines, sorted by position (15 to 90 degrees two-theta):
2θ 38.14, I 100
2θ 44.17, I 34
2θ 44.66, I 16
2θ 64.24, I 11
2θ 64.62, I 21
2θ 77.23, I 24
2θ 77.94, I 12
2θ 81.61, I 11

Theoretical powder XRD pattern of PmHoCS for copper Kα, from a crystal structure in Alexandria, relaxed with GGA-PBE.
Intensities are scaled so that the largest is 100.

Structure:
Unit cell a=3.855 b=3.855 c=5.346 alpha=90.00 beta=90.00 gamma=90.00
Space group P4/mmm (No. 123)
One atom of each set of equivalent atoms:
Pm  0.000  0.000  0.000 x1
Ho  0.500  0.500  0.500 x1
C  0.000  0.000  0.500 x1
S  0.500  0.500  0.000 x1

Main lines, sorted by position (15 to 90 degrees two-theta):
2θ 28.55, I 100
2θ 32.86, I 62
2θ 33.52, I 30
2θ 47.16, I 22
2θ 47.65, I 43
2θ 56.05, I 32
2θ 56.93, I 15
2θ 59.09, I 23

Question: Number 3 is which compound?
Answer: Ag2BPd6

Question: What is the formula in the fourth record?
Answer: PmHoCS

----------

(1)
AgMo6Br13: theoretical X-ray powder pattern (CuKα), based on DFT lattice parameters and positions (GGA-PBE).

Structural model:
Unit cell a=9.886 b=9.891 c=14.845 alpha=98.10 beta=108.66 gamma=104.39
Space group P-1 (No. 2)
Asymmetric unit:
1 Ag 0.098 0.342 0.260 (multiplicity 2)
2 Mo 0.326 0.033 0.422 (multiplicity 2)
3 Mo 0.339 0.411 0.034 (multiplicity 2)
Other pets you have
When introducing the second rabbit in the house, you must make sure about the other pets you may have. A new rabbit can become very stressed by interacting with other animals like dogs or cats. Therefore, ensuring they live in a safe environment is essential.
Don’t separate them once both rabbits are paired.
Maintaining the bond between your current rabbit and another rabbit is essential once they have paired up. If one of your rabbits requires veterinary care, then you must take another rabbit along with it. Together they will make themselves comfortable around each other.
Separate cages
Do not put the second rabbit in the cage of your current rabbit. Instead, you can choose another wired cage with hay or newspaper bedding so your new rabbit can see out of it. Introducing the rabbits separately by putting their cages side by side is essential to avoid dominance or fighting. Allow your rabbits to go outside for exercise at different times or in other rooms.
Large cages
Once you have introduced both rabbits in your house, you must provide a large cage or pen so they can comfortably sleep and exercise. Provide large pens or cages depending on the size of the rabbit. Even if you have a small rabbit, ensure how big it will become when they grow up and accordingly provide the cage.
Buy everything double
If you are adopting another rabbit, you must maintain its maintenance and needs. Therefore, you should buy double things such as toys, cages, a litter box, food bowls, and other stuff if you have a pair of rabbits. So, it is essential that if you are buying something for one of your rabbits, then you must also buy it for your other rabbit. Also, if you have adopted another rabbit, the vet’s expenses would double.
You must regularly groom both rabbits to identify the wounds or injuries. In addition, there is the possibility that your rabbit may not become aggressive in front of you but fights behind you. Therefore, it is essential to regularly groom both of your rabbits to identify any wounds and other health issues like mites or fungal infections.
Health checkups
Taking both rabbits for regular health checkups is essential, even if your other rabbit is healthy. Regular health checkups can identify the illness in the early stage. In addition, you can separate one of your rabbits from another so that they will not be able to spread infection.
It would be best if you fed both rabbits according to their requirements. For example, providing separate bowls of food and water to your rabbits is essential. Also, if you are treating one of your rabbits, you must give the same treatment to the other rabbit.
Also, read: Can Rabbits Eat Cucumber?
Ensure that your second rabbit is not allergic to something. Most of the time, some rabbits can become allergic to hay, with causes sneezing or nose irritation. And this allergy can be transmitted to your other rabbit. Therefore, if your rabbit is sneezing a lot around hay, you must change the hay, which is of the best quality.
Spending time
Spending time with a single rabbit can makes another rabbit jealous. And jealousy in rabbits can be territorial towards each other. They can even attack or fight with each other. Therefore, it is essential to spend equal time with both rabbits.
If you have another rabbit in the house, you may require space for them. Give enough space to both rabbits so they can sleep, exercise, or hop all around the area. It would be best to provide a minimum 3m x 2m x 1m pen for both rabbits to run around.
Rabbit-proof your house
Once you have adopted a second rabbit, you must take care of both rabbits in your house. Rabbits like to dig and chew on everything. For that, you can rabbit-proof your home by covering the wires with hard plastic sleeves, protecting the baseboard with purring strips or plastic guards, providing puppy pens or baby gates to limit the areas, and keep the toxic plants such as tomato leaves, tulips, poinsettia, and holly away from rabbit’s reach.
How to introduce and bond two rabbits together?
In a short time, you can transform a pair of rabbits into lifelong rabbit buddies. Here are some things to consider while introducing and bonding two rabbits together.
- You should spay and neuter both rabbits before introducing themselves face to face to prevent aggressiveness and territorial fighting. This bonding procedure may take several days or weeks, but you must be patient.
- You must provide two cages for each rabbit and put the pen or cage next to each other so they can sit aside. However, don’t put cages too close; otherwise, they can nip or bite from the bars of the cages.
- Take both of your rabbits in a place they have not explored, for example, the bathroom, hallway, parked car, or garage. You can cover the neutral area with newspapers and introduce the rabbits to each other. One may sniff the zone, while the other can express its dominance by mounting or nipping another rabbit.
- Let both of your rabbits bond for at least 20 minutes. However, if you find that they are nipping each other and their fight is becoming dangerous, you must spray water on their faces. Due to this, they may stop fighting and starts cleaning up their faces. When you take them inside their cages, give them some treats.
- You can place the cages of your rabbit closer to each other so they can sniff each other’s noses. Also, it would be best to feed both of your rabbits simultaneously so they become used to each other while eating. If you are providing treats, you must give them to both of your rabbits.
- Take your rabbits to the neutral zone daily for at least a week. You should give 20 minutes of space to your rabbits and supervise their activities or actions. Also, you can switch the place in a few days. When you notice that one of your rabbits is grooming another, it signifies companionship.
- When both of your rabbits become friends, you can put them together in the same pen or cage only when you are in the house. They can permanently share their cages or pens once they ensure they will not fight. However, it is essential to put two water bowls and two food bowls in their shared space so they will refrain from fighting for it.
It is observed that bonding can even make a sick rabbit cover faster than being single. Therefore, pairing is essential for a rabbit’s healthy life span.
- Selecting a pair of a rabbit should include breed type, size, color, and age.
- Other factors to consider while choosing a second rabbit are personality, health, diet, and gender.
- Before introducing rabbits, they must be neutered and has no underlying health problem.
- Rabbits can sometimes become depressed or lonely if they don’t get their desired love.
- Companionship makes a healthy life span for rabbits.